Cytoxan again!

So i started cytoxan for the third time. I was having bad kidney pain and then optic nueritis hits. I am sick of being sick. I even got denied ssd with an attorny! How does someone work while throwing up poison? just another obsticle to jump through. Thanks lupus!

Try Allsup they got me approved wicked fast. Hope you feel better soon

Hi Ward - I am so sorry. I have had 2 rounds of cytoxan and they were awful. It is so ridiculous to remember those months - I just wanted to sleep all day, but every hour I had to get up & drink water & flush the toxins from my bladder - I never knew if I was tired from the drug or the disease or all the friggin up-and-down. So I really feel for you, thank goodness I wasn't throwing up too, so many times I could barely walk across the room. Keep pursuing the SSD, it will happen eventually, there are way too many obstacles they put up

Well the cytoxan side effects are down to a minimum but because they put me on 1000mg of steroids i feel like i am going through withdrawals. Stiff neck and bad pain in all fibromyalgia trigger points! My kids are telling their friends i have roid rage! I guess its a good halloween costume i dont have to dress up!


Hello ward,

My thoughts and prayers are with you on how your feeling and i hope you do feel better soon and members are able to help in a large way.

[Here the page breaks off for records of crystals]
-- begin --
Computed X-ray powder pattern
Compound: Sn3H2O4
Radiation: a wavelength of 1.5418 Å
Structure: a cell relaxed with PBE
Peak positions follow from Bragg's law for the DFT cell and can differ from measured ones.

The 8 most intense peaks (10° ≤ 2θ ≤ 90°), by angle:
two_theta  I/Imax  (hkl)
13.61  93.4  1 1 -1
15.15  47.2  2 0 0
23.57  50.4  1 3 0
23.76  61.1  0 2 2
25.00  64.6  2 0 2
27.42  100.0  2 2 -2
29.18  98.9  2 2 2
30.53  59.6  1 3 2

Structural model:
a = 11.741 Å, b = 11.966 Å, c = 9.635 Å
α = 90.00°, β = 94.90°, γ = 90.00°
Space group Cc (No. 9)
Asymmetric unit:
Sn1 0.000 0.047 0.000
Sn2 0.112 0.320 0.020
Sn3 0.208 0.335 0.483
Sn4 0.358 0.051 0.438
Sn5 0.400 0.288 0.219
Sn6 0.408 0.255 0.753
H1 0.023 0.389 0.763
H2 0.152 0.166 0.236
H3 0.227 0.138 0.624
H4 0.336 0.500 0.242
O1 0.018 0.435 0.846
O2 0.027 0.197 0.890
O3 0.083 0.172 0.168
O4 0.227 0.215 0.657
O5 0.285 0.206 0.353
O6 0.347 0.438 0.312
O7 0.359 0.391 0.606
O8 0.453 0.135 0.601


For Na5B8C2, DFT lattice parameters and positions (PBE) gives the theoretical X-ray powder pattern in this record (a wavelength of 1.5418 Å).
No peak broadening, texture or thermal motion is included.

Most intense lines, 10° ≤ 2θ ≤ 90°, by angle:
hkl 0 1 5, 35.89°, 2.502 Å, intensity 18
hkl 2 0 10, 40.19°, 2.244 Å, intensity 51
hkl 2 1 5, 41.74°, 2.164 Å, intensity 100
hkl 4 0 0, 41.90°, 2.156 Å, intensity 37
hkl 0 1 15, 62.23°, 1.492 Å, intensity 18
hkl 4 1 15, 77.87°, 1.227 Å, intensity 17

Cell and atoms:
Cell: 8.6241 2.8449 26.2794 Å, 90.00 90.00 90.00°
Space group Amm2 (No. 38)
Symmetry-distinct sites (fractional):
Na 0.2439 0.0000 0.0000
Na 0.2484 0.0000 0.4001
Na 0.2475 0.0000 0.8000
Na 0.2491 0.0000 0.5999
Na 0.2496 0.0000 0.1998
B 0.0000 0.0000 0.0736
B 0.0000 0.0000 0.2605
B 0.0000 0.0000 0.3310
B 0.0000 0.0000 0.4639
B 0.0000 0.0000 0.5337
B 0.0000 0.0000 0.6664
B 0.0000 0.0000 0.8702
B 0.5000 0.0000 0.0647
B 0.5000 0.0000 0.1274
B 0.5000 0.0000 0.2704
B 0.5000 0.0000 0.3351
B 0.5000 0.0000 0.5254
B 0.5000 0.0000 0.6684
B 0.5000 0.0000 0.7315
B 0.5000 0.0000 0.8716
B 0.5000 0.0000 0.9375
C 0.0000 0.0000 0.1354
C 0.0000 0.0000 0.7300
C 0.0000 0.0000 0.9329
C 0.5000 0.0000 0.4661


# Mg2Fe9O13
Theoretical X-ray diffraction stick pattern, Cu Kα. Input: DFT lattice parameters and positions (PBE+U).

Structure:
Lattice parameters (Å, degrees): 9.945 2.932 16.816 90.00 97.38 90.00
Space group C2/m (No. 12)
Asymmetric unit:
Mg1 0.212 0.000 0.226 x4
Fe1 0.000 0.500 0.500 x2
Fe2 0.016 0.000 0.679 x4
Fe3 0.064 0.000 0.876 x4
Fe4 0.146 0.500 0.040 x4
Fe5 0.248 0.500 0.415 x4
O1 0.000 0.000 0.000 x2
O2 0.086 0.500 0.142 x4
O3 0.121 0.500 0.609 x4
O4 0.136 0.000 0.465 x4
O5 0.136 0.500 0.311 x4
O6 0.147 0.000 0.776 x4
O7 0.220 0.500 0.935 x4

Most intense lines, 2θ = 10–90°, in order of falling intensity:
| 2θ/deg | d (Å) | Rel. int. | (hkl) |
| --- | --- | --- | --- |
| 34.34 | 2.612 | 100 | 2 0 5 |
| 10.61 | 8.339 | 85 | 0 0 2 |
| 34.96 | 2.566 | 75 | 2 0 -6 |
| 43.11 | 2.098 | 61 | 3 1 -3 |
-- stop --

Love Terri :) xxx

My dr has recommended I start cytoxan infusion. I am just waiting for insurance to approve. He says it will be for a year. I am scared of this chemo and the side effects. Can anyone tell me whether this treatment is worth all this scariness.

Hello Selah,

I don't know anything about that infusin sorry but try not to be frightened but i do suggest you add you own discussion on the infustion as you'll get more feed back.

My rheumo as asked me if i want to start a trial for sjogren's with Rituxan IV infusins and i did a discussion on it and i got some good replies and on the 30th of this month i've got to let him know but i'm going to go for it, got nothing loose.

This link carries all the info on the drug

This discussion on the site may also help you how members was also.

Misplaced data records.
<<<
For Pr2Y5Sc, a DFT-relaxed cell (PBE, Alexandria) gives the calculated PXRD pattern in this record (a wavelength of 1.5418 Å).
Peak positions follow from Bragg's law for the DFT cell and can differ from measured ones.

Main lines, by intensity (2θ = 10–80°):
2θ (°), intensity
31.5, 100
31.7, 50
30.4, 45
29.9, 31
30.1, 26
56.3, 17
55.0, 14
56.0, 14
59.7, 14
36.8, 12

Atomic structure:
```
Pr2Y5Sc
1.0
8.0089 -4.9252 0.0000
8.0089 4.9252 0.0000
-1.3791 0.0000 6.5582
Pr Y Sc
4 10 2
direct
0.1559 0.6667 0.8621 Pr
0.3333 0.8441 0.6379 Pr
0.6667 0.1559 0.3621 Pr
0.8441 0.3333 0.1379 Pr
0.0072 0.1951 0.6514 Y
0.1951 0.0072 0.1514 Y
0.2148 0.3766 0.4505 Y
0.3766 0.2148 0.9505 Y
0.4367 0.5633 0.2500 Y
0.5633 0.4367 0.7500 Y
0.6234 0.7852 0.0495 Y
0.7852 0.6234 0.5495 Y
0.8049 0.9928 0.8486 Y
0.9928 0.8049 0.3486 Y
0.0000 0.5000 0.0000 Sc
0.5000 0.0000 0.5000 Sc
```

---

For ThUP, a DFT-relaxed cell (PBE, Alexandria) gives the calculated PXRD pattern in this record (a wavelength of 1.5418 Å).
Peak positions follow from Bragg's law for the DFT cell and can differ from measured ones.

Main lines, by intensity (2θ = 10–80°):
2θ (°), intensity
28.6, 100
34.0, 50
47.0, 41
53.2, 41
43.8, 40
23.5, 27
76.6, 20
29.7, 19
56.0, 16
76.0, 14

Atomic structure:
```
ThUP
1.0
1.9334 1.1163 11.3697
-1.9334 1.1163 11.3697
0.0000 -2.2325 11.3697
Th U P
2 2 2
direct
0.1203 0.1203 0.1203 Th
0.8797 0.8797 0.8797 Th
0.3528 0.3528 0.3528 U
0.6472 0.6472 0.6472 U
0.2647 0.2647 0.2647 P
0.7353 0.7353 0.7353 P
```


SrMg14Sn: computed XRD peak list (Cu Kα (weighted mean of Kα1 and Kα2)), based on a PBE-relaxed structure.
Neutral-atom scattering factors, no anomalous dispersion.

Top 12 peaks for 5 to 70 degrees two-theta, by angle:
d [Å]  I (rel.)  index
10.576  61  1 0 0
5.719  18  0 0 2
5.030  28  1 0 2
3.883  16  2 0 2
2.822  28  0 2 2
2.644  38  4 0 0
2.515  50  2 0 4
2.490  100  2 2 2
1.930  18  4 2 2
1.644  17  0 2 6
1.495  21  6 2 2
1.396  20  4 2 6

Structure:
```
data_SrMg14Sn
_chemical_formula_sum 'Sr2 Mg28 Sn2'
_cell_length_a 10.576
_cell_length_b 6.490
_cell_length_c 11.437
_cell_angle_alpha 90.00
_cell_angle_beta 90.00
_cell_angle_gamma 90.00
_space_group_name_H-M_alt 'A m m 2'
_space_group_IT_number 38
loop_
_space_group_symop_operation_xyz
'x,y,z'
'-x,-y,z'
'-x,y,z'
'x,-y,z'
'x,y+1/2,z+1/2'
'-x,-y+1/2,z+1/2'
'-x,y+1/2,z+1/2'
'x,-y+1/2,z+1/2'
loop_
_atom_site_label
_atom_site_type_symbol
_atom_site_fract_x
_atom_site_fract_y
_atom_site_fract_z
Sr1 Sr 0.000 0.000 0.000
Mg1 Mg 0.000 0.245 0.250
Mg2 Mg 0.248 0.000 0.666
Mg3 Mg 0.261 0.000 0.169
Mg4 Mg 0.261 0.246 0.414
Mg5 Mg 0.500 0.000 0.500
Mg6 Mg 0.500 0.000 0.999
Mg7 Mg 0.500 0.248 0.748
Sn1 Sn 0.000 0.000 0.493
```

TbMgSn: computed XRD peak list (Cu Kα (weighted mean of Kα1 and Kα2)), based on a PBE-relaxed structure.
Neutral-atom scattering factors, no anomalous dispersion.

Top 12 peaks for 5 to 70 degrees two-theta, by angle:
d [Å]  I (rel.)  index
7.984  31  0 0 2
3.992  41  0 0 4
3.124  100  1 1 0
>>>
Back to the entry.

Love Terri xxx

(These calculated crystals were left in the article by mistake)
<<<
Diffraction record for Na3Pm3ZrS8. The powder XRD pattern is theoretical, not measured: it uses a cell relaxed with PBE and a wavelength of 1.5418 Å.
Kinematic intensities with the Lorentz-polarization factor, no thermal factor.

Crystal structure
Cell: 8.0592 8.0592 20.2169 Å, 90.00 90.00 120.00°
Space group R-3m (No. 166, hexagonal axes)
Inequivalent atoms, fractional coordinates:
Na 0.0000 0.5000 0.0000 [9 per cell]
Pm 0.0000 0.5000 0.5000 [9 per cell]
Zr 0.0000 0.0000 0.5000 [3 per cell]
S 0.0000 0.0000 0.2443 [6 per cell]
S 0.0234 0.5117 0.2395 [18 per cell]

Main lines, by angle (10 to 80 degrees two-theta):
d (Å), 2θ/deg, I_rel
6.739, 13.14, 90
3.439, 25.91, 42
3.299, 27.03, 22
2.872, 31.14, 100
2.642, 33.93, 16
2.225, 40.54, 20
2.047, 44.25, 35
2.015, 44.99, 34
1.930, 47.08, 21
1.649, 55.73, 17

~~~~~

Simulated powder X-ray diffraction pattern
Compound: Tb3Sn4Pb3
Radiation: copper Kα
Structure: a GGA-PBE-relaxed structure

Structure:
```
data_Tb3Sn4Pb3
_chemical_formula_sum 'Tb6 Sn8 Pb6'
_cell_length_a 4.485
_cell_length_b 26.758
_cell_length_c 4.500
_cell_angle_alpha 90.00
_cell_angle_beta 90.00
_cell_angle_gamma 90.00
_symmetry_space_group_name_H-M 'C m m m'
_symmetry_Int_Tables_number 65
_symmetry_space_group_name_Hall '-C 2 2'
loop_
_atom_site_label
_atom_site_type_symbol
_atom_site_fract_x
_atom_site_fract_y
_atom_site_fract_z
_atom_site_occupancy
Tb1 Tb 0.000 0.000 0.000 1
Tb2 Tb 0.000 0.312 0.500 1
Sn1 Sn 0.000 0.096 0.500 1
Sn2 Sn 0.000 0.403 0.000 1
Pb1 Pb 0.000 0.209 0.000 1
Pb2 Pb 0.000 0.500 0.500 1
```

The 10 most intense peaks (2θ from 10° to 80°), low angle first:
index  2θ (°)  I_rel
1 5 1  32.78  100
0 10 0  33.49  20
0 0 2  40.08  15
2 0 0  40.21  15
0 10 2  53.19  11
2 10 0  53.30  11
2 0 2  58.07  11
1 15 1  59.42  12
1 5 3  68.22  13
3 5 1  68.41  12

~~~~~

Ca2Mn3O8: theoretical XRD peak list (Cu Kα), based on a structure optimized by DFT (GGA+U).

Most intense lines, 5° ≤ 2θ ≤ 70°, low angle first:
d_spacing, two_theta, Rel. int.
5.236, 16.93, 100
4.308, 20.62, 31
3.233, 27.59, 65
2.959, 30.20, 55
2.585, 34.70, 33
2.446, 36.74, 53
2.003, 45.28, 64
1.926, 47.18, 32
1.671, 54.95, 38
1.459, 63.79, 36

Structural model:
Cell: 6.306 6.306 5.028 Å, 107.31 107.31 56.24°
Fractional positions:
Ca (0.223, 0.223, 0.164)
Ca (0.777, 0.777, 0.836)
Mn (0.242, 0.758, 0.500)
Mn (0.500, 0.500, 0.000)
Mn (0.758, 0.242, 0.500)
O (0.103, 0.103, 0.458)
O (0.176, 0.620, 0.108)
O (0.380, 0.824, 0.892)
O (0.403, 0.403, 0.597)
O (0.597, 0.597, 0.403)
O (0.620, 0.176, 0.108)
O (0.824, 0.380, 0.892)
O (0.897, 0.897, 0.542)

LiCoPO4: theoretical XRD peak list (Cu Kα), based on a structure optimized by DFT (GGA+U).

Most intense lines, 5° ≤ 2θ ≤ 70°, low angle first:
d_spacing, two_theta, Rel. int.
4.573, 19.41, 39
4.120, 21.57, 24
3.692, 24.11, 36
3.441, 25.89, 22
2.749, 32.58, 38
2.582, 34.75, 100
2.457, 36.57, 45
2.065, 43.85, 23
1.846, 49.37, 26
1.458, 63.83, 32

Structural model:
Cell: 4.953 4.953 6.256 Å, 90.00 90.00 112.58°
>>>
(End of the calculated crystals)

Hi Selah,
You should definitly start a discussion like tez said. But i have done three 6month sessions and was told that 6 months is the longest anyone should go. Dont be scared. Stay strong and eat lots of vegetables. You will be weak for a little while.

Hello ward,

Thanks for replying mate and i hope your feeling ok with your health?

Terri :) xxx

ward0818 said:

Hi Selah,
You should definitly start a discussion like tez said. But i have done three 6month sessions and was told that 6 months is the longest anyone should go. Dont be scared. Stay strong and eat lots of vegetables. You will be weak for a little while.